Let's Get It Started!! (With compliments due to the Black Eyed Peas)
Hello Bigger Pockets community, my name is Corey (that's right, with Corey with an -ey because we are that much more amazing than Cory with just the -y). This is my first entry in what I hope will be an excited trip through my real estate investing career. I've been interested in real estate investing even since I was 20. I'm 34 now so 14 years is a long time to not act on my interests. Why now? Well, I'm going through a divorce and I feel this is my time to do what I've always dreamed of doing, in all aspects of my life. So here I am, getting into real estate investing!!
To be honest, I'm nervous. While I do think I know where to start, I don't know where to start!! Crazy right?!? What I can say is, I've done more now to educate and push myself in these past 3-4 weeks than I have in those 14 years. I've walked, drove, danced, back-flipped through my neighborhood looking at properties. I've reached out to my local REIA and other real estate meetings to network and gain knowledge, and of course, I've read countless articles and blogs on this site. My biggest fear is that I'm too late to start investing (I know its sounds silly). I live in Washington DC, quite the expensive town, so I definitely have concerns if I, with no funds, can find a good deal in this city.
To counter my "paralysis of analysis", I'm planning on actively seeking out a mentor and seeing what I can do to help them out, whether that means trailing them on deals, taking care of details that they may not have the time to complete or rolling up my sleeves and putting in some housework (Now I've never really done any of that, I can fix a toilet and that's about it).
Bottom line, I'm about DOING something now about investing. I've seen countless examples on here about people in my same position, making deals and reaching their goals. I want to the next one!! My next post will give you guys an update and what I've accomplished. I hope this blog will not only be entertaining and informative to the community, but also serve as a written account of my activity to keep me accountable for my goals and aspirations.
Until next time......
Comments (2)
Thanks for the kind words Al. I'm looking forward to jump starting this in the right direction!
Corey M., over 9 years ago
Right on Corey!
**Unrelated to this text: molecular data:**
/*
{
  "formula": "C8H12F3N3O",
  "method": "ωB97M-V with the def2-TZVPD basis set",
  "lumo_ha": 0.0308,
  "gap_ev": 9.80,
  "e_above_lowest_kcal_mol": 30.8,
  "smiles": "FC(F)(F)[C@]1(N2CCOCC2)N=CCN1",
  "energy_ha": -851.068302,
  "symbols": ["F", "C", "F", "F", "C", "N", "C", "C", "O", "C", "C", "N", "C", "C", "N", "H", "H", "H", "H", "H", "H", "H", "H", "H", "H", "H", "H"],
  "xyz": [[-1.15202, -1.67958, 2.48749], [-0.46648, -0.61100, 2.13956], [0.81966, -0.70640, 2.62752], [-1.15442, 0.31487, 2.73702], [-0.47734, -0.62517, 0.61763], [0.42488, 0.43695, 0.04961], [0.20847, 1.72587, 0.67403], [1.44417, 2.52102, 0.05212], [1.34740, 2.61798, -1.32480], [1.42095, 1.33385, -1.94798], [0.32325, 0.39303, -1.43915], [-1.84199, -0.55335, 0.17591], [-2.16255, -1.66262, -0.35262], [-1.12042, -2.73191, -0.35830], [0.06314, -1.95773, 0.18344], [0.42541, 1.54399, 1.70351], [-0.64877, 2.41029, 0.44378], [1.50340, 3.63173, 0.42068], [2.19078, 1.87468, 0.43229], [2.46449, 0.90730, -1.79287], [1.36324, 1.40769, -3.01028], [-0.77073, 0.68910, -1.74437], [0.55404, -0.67744, -1.79681], [-3.06515, -1.53345, -0.91965], [-1.37366, -3.61010, 0.31006], [-0.83706, -3.04442, -1.28867], [0.51733, -2.41519, 0.92085]],
  "mulliken_charge": [-0.295, 0.360, -0.274, -0.229, 1.126, 0.290, -0.376, -0.893, -0.355, -0.701, -0.421, -0.777, -0.322, -0.545, -0.632, 0.343, 0.224, 0.299, 0.510, 0.309, 0.419, 0.306, 0.238, 0.461, 0.288, 0.337, 0.309]
}


ORCA calculation (ωB97M-V with the def2-TZVPD basis set) on 3 unconnected molecules or ions with the total composition C22H49BFN2O12P2S at a distorted geometry.

Output
HOMO energy in eV: -11.203
Net charge: +1
LUMO in eV: -4.185

Positions of all 90 atoms, in Å:
C1 -0.92102 -5.94824 4.22042
C2 -1.62225 -4.51724 4.01905
C3 -2.81252 -4.70488 2.99379
C4 -2.57742 -3.98258 1.59797
C5 -2.85938 -4.88041 0.33160
C6 -4.38438 -5.23832 0.08595
N1 -5.31376 -4.74281 1.13289
C7 -5.76300 -3.49419 1.42830
N2 -6.61301 -3.51698 2.51573
B1 -7.20357 -2.24607 3.06027
O1 -8.05544 -2.39730 4.18481
O2 -6.90282 -0.99413 2.51747
C8 -5.55653 -0.56963 2.88845
C9 -6.77584 -4.84562 2.95930
C10 -5.93953 -5.60745 2.06858
S1 -5.81273 -7.40166 2.28798
O3 -6.03773 -7.65115 3.70178
O4 -4.48391 -7.89299 1.94775
F1 -6.97559 -8.15145 1.41288
H1 -0.82066 -6.41457 3.20119
H2 0.05763 -5.87834 4.75634
H3 -1.67679 -6.55874 4.79862
H4 -2.07496 -4.28182 5.02890
H5 -0.89391 -3.71196 3.74777
H6 -3.01370 -5.79808 2.78192
H7 -3.75256 -4.27643 3.45195
H8 -3.11557 -2.99944 1.48712
H9 -1.47556 -3.72444 1.56002
H10 -2.20218 -5.78894 0.34459
H11 -2.52790 -4.27400 -0.56494
H12 -4.74010 -4.81226 -0.89606
H13 -4.50024 -6.35692 0.01846
H14 -5.37107 -2.65479 0.81358
H15 -7.43755 -2.62466 4.91256
H16 -5.01260 -1.40332 3.41170
H17 -5.55180 0.35432 3.52153
H18 -4.96413 -0.34079 1.95326
H19 -7.40359 -5.19029 3.81038
O5 3.01241 -0.09707 0.48258
P1 1.63875 0.21434 -0.07034
O6 0.78984 -0.18119 1.29531
C11 0.82775 0.72420 2.39183
C12 -0.00804 1.96374 2.12276
O7 1.42601 -1.20204 -0.89555
*/
**End of the molecular data:**
The magic happens when you start moving towards your goal.
Your mindset sounds good. Kick down doors to make things happen, and guess what, people will notice and you'll start a virtuous spiral in motion.
I'm cheering for you!
Al Williamson, over 9 years ago